Next, repeat the whole of the contents below with every line break kept.

____________
(1)
A relaxed TbY2Zn2Ga2 crystal, computed with PBE.

Properties
Its space group is R-3m (166). The value obtained for the final energy is -29.1 eV for the cell shown. The formation energy is -0.42 eV/atom. Its total magnetization is 0.0 μB per cell.

Cell: 4.433 4.433 9.613 Å, 76.67 76.67 60.00°
Positions (direct):
Tb  0.000  0.000  0.000
Y  0.126  0.126  0.622
Y  0.874  0.874  0.378
Zn  0.604  0.604  0.189
Zn  0.396  0.396  0.811
Ga  0.736  0.736  0.791
Ga  0.264  0.264  0.209

(2)
A relaxed NpAlAu11 crystal, computed with PBE.

Properties
Its space group is C2/m (12). The value obtained for the final energy is -54.2 eV for the cell shown. The formation energy is -0.11 eV/atom. Its total magnetization is 4.2 μB per cell.

Cell: 5.538 7.234 7.250 Å, 82.18 67.55 69.13°
Site moments in Bohr magnetons follow the coordinates.
Positions (direct):
Np  0.000  0.000  0.000  4.06
Al  0.500  0.500  0.000  0.00
Au  0.308  0.218  0.209  0.00
Au  0.692  0.782  0.791  0.00
Au  0.483  0.782  0.209  0.00
Au  0.517  0.218  0.791  0.00
Au  0.343  0.651  0.662  -0.01
Au  0.657  0.349  0.338  -0.01
Au  0.995  0.349  0.662  -0.01
Au  0.005  0.651  0.338  -0.01
Au  0.000  0.500  0.000  0.00
Au  0.500  0.000  0.500  0.00
Au  0.000  0.000  0.500  0.00

(3)
A relaxed LaNiSCl2 crystal, computed with PBE.

Properties
The calculation puts the uncorrected formation energy at -0.65 eV per atom. Its space group is P4/mmm (123). The value obtained for the final energy is -21.8 eV for the cell shown. The energy above the most stable polymorph in this dataset comes out at 0.530 eV/atom. Its total magnetization is 1.1 μB per cell.

Cell: 5.495 5.495 5.606 Å, 90.00 90.00 90.00°
Site moments in Bohr magnetons follow the coordinates.
Positions (direct):
Ni  0.500  0.500  0.500  0.97
S  0.000  0.000  0.500  0.00
Cl  0.000  0.500  0.000  0.00
Cl  0.500  0.000  0.000  0.00
La  0.000  0.000  0.000  0.00

(4)
A relaxed AuIN3 crystal, computed with PBE.

Properties
The calculation puts the uncorrected formation energy at 2.49 eV per atom. Its space group is Pm-3m (221). The value obtained for the final energy is -17.3 eV for the cell shown. Its total magnetization is 1.6 μB per cell.

Cell: 4.122 4.122 4.122 Å, 90.00 90.00 90.00°
Site moments in Bohr magnetons follow the coordinates.
Positions (direct):
I  0.500  0.500  0.500  -0.04
Au  0.000  0.000  0.000  0.11
N  0.000  0.500  0.000  0.32
N  0.000  0.000  0.500  0.29
N  0.500  0.000  0.000  0.47

(5)
A relaxed La3Sm2Sn4 crystal, computed with PBE.

Properties
Its space group is C2/m (12). The value obtained for the final energy is -46.5 eV for the cell shown. The formation energy is -0.69 eV/atom. Its total magnetization is 0.0 μB per cell.

Cell: 5.143 6.947 8.758 Å, 103.80 107.07 90.00°
Positions (direct):
La  0.121  0.573  0.243
La  0.879  0.427  0.757
La  0.000  0.000  0.000
Sm  0.662  0.082  0.325
Sm  0.338  0.918  0.675
Sn  0.497  0.708  0.994
Sn  0.245  0.273  0.490
Sn  0.503  0.292  0.006
Sn  0.755  0.727  0.510

(6)
A relaxed Pr7TeAs5 crystal, computed with PBE.

Properties
The calculation puts the uncorrected formation energy at -1.39 eV per atom. Its space group is C2/m (12). The value obtained for the final energy is -155.7 eV for the cell shown. Its total magnetization is 0.8 μB per cell.

Cell: 4.308 7.448 25.431 Å, 90.02 90.00 106.81°
Site moments in Bohr magnetons follow the coordinates.
Positions (direct):
Pr  0.467  0.934  0.250  0.06
Pr  0.533  0.067  0.750  0.06
Pr  0.637  0.275  0.035  0.00
Pr  0.363  0.727  0.965  0.00
Pr  0.363  0.727  0.535  0.00
Pr  0.637  0.274  0.465  0.00
Pr  0.176  0.352  0.173  0.04
Pr  0.825  0.649  0.827  0.04
Pr  0.825  0.650  0.673  0.04
Pr  0.176  0.351  0.327  0.04
Pr  0.911  0.822  0.104  0.00
Pr  0.090  0.179  0.896  0.00
Pr  0.090  0.179  0.604  0.00
Pr  0.911  0.821  0.396  0.00
Te  0.798  0.597  0.250  0.00
Te  0.202  0.404  0.750  0.00
As  0.000  0.001  0.000  0.00
As  0.728  0.456  0.927  0.00
As  0.273  0.546  0.073  0.00
As  0.544  0.089  0.357  0.00
____________

(1)
A relaxed TbY2Zn2Ga2 crystal, computed with PBE.

Properties
Its space group is R-3m (166). The value obtained for the final energy is -29.1 eV for the cell shown. The formation energy is -0.42 eV/atom. Its total magnetization is 0.0 μB per cell.

Cell: 4.433 4.433 9.613 Å, 76.67 76.67 60.00°
Positions (direct):
Tb  0.000  0.000  0.000
Y  0.126  0.126  0.622
Y  0.874  0.874  0.378
Zn  0.604  0.604  0.189
Zn  0.396  0.396  0.811
Ga  0.736  0.736  0.791
Ga  0.264  0.264  0.209

(2)
A relaxed NpAlAu11 crystal, computed with PBE.

Properties
Its space group is C2/m (12). The value obtained for the final energy is -54.2 eV for the cell shown. The formation energy is -0.11 eV/atom. Its total magnetization is 4.2 μB per cell.

Cell: 5.538 7.234 7.250 Å, 82.18 67.55 69.13°
Site moments in Bohr magnetons follow the coordinates.
Positions (direct):
Np  0.000  0.000  0.000  4.06
Al  0.500  0.500  0.000  0.00
Au  0.308  0.218  0.209  0.00
Au  0.692  0.782  0.791  0.00
Au  0.483  0.782  0.209  0.00
Au  0.517  0.218  0.791  0.00
Au  0.343  0.651  0.662  -0.01
Au  0.657  0.349  0.338  -0.01
Au  0.995  0.349  0.662  -0.01
Au  0.005  0.651  0.338  -0.01
Au  0.000  0.500  0.000  0.00
Au  0.500  0.000  0.500  0.00
Au  0.000  0.000  0.500  0.00

(3)
A relaxed LaNiSCl2 crystal, computed with PBE.

Properties
The calculation puts the uncorrected formation energy at -0.65 eV per atom. Its space group is P4/mmm (123). The value obtained for the final energy is -21.8 eV for the cell shown. The energy above the most stable polymorph in this dataset comes out at 0.530 eV/atom. Its total magnetization is 1.1 μB per cell.

Cell: 5.495 5.495 5.606 Å, 90.00 90.00 90.00°
Site moments in Bohr magnetons follow the coordinates.
Positions (direct):
Ni  0.500  0.500  0.500  0.97
S  0.000  0.000  0.500  0.00
Cl  0.000  0.500  0.000  0.00
Cl  0.500  0.000  0.000  0.00
La  0.000  0.000  0.000  0.00

(4)
A relaxed AuIN3 crystal, computed with PBE.

Properties
The calculation puts the uncorrected formation energy at 2.49 eV per atom. Its space group is Pm-3m (221). The value obtained for the final energy is -17.3 eV for the cell shown. Its total magnetization is 1.6 μB per cell.

Cell: 4.122 4.122 4.122 Å, 90.00 90.00 90.00°
Site moments in Bohr magnetons follow the coordinates.
Positions (direct):
I  0.500  0.500  0.500  -0.04
Au  0.000  0.000  0.000  0.11
N  0.000  0.500  0.000  0.32
N  0.000  0.000  0.500  0.29
N  0.500  0.000  0.000  0.47

(5)
A relaxed La3Sm2Sn4 crystal, computed with PBE.

Properties
Its space group is C2/m (12). The value obtained for the final energy is -46.5 eV for the cell shown. The formation energy is -0.69 eV/atom. Its total magnetization is 0.0 μB per cell.

Cell: 5.143 6.947 8.758 Å, 103.80 107.07 90.00°
Positions (direct):
La  0.121  0.573  0.243
La  0.879  0.427  0.757
La  0.000  0.000  0.000
Sm  0.662  0.082  0.325
Sm  0.338  0.918  0.675
Sn  0.497  0.708  0.994
Sn  0.245  0.273  0.490
Sn  0.503  0.292  0.006
Sn  0.755  0.727  0.510

(6)
A relaxed Pr7TeAs5 crystal, computed with PBE.

Properties
The calculation puts the uncorrected formation energy at -1.39 eV per atom. Its space group is C2/m (12). The value obtained for the final energy is -155.7 eV for the cell shown. Its total magnetization is 0.8 μB per cell.

Cell: 4.308 7.448 25.431 Å, 90.02 90.00 106.81°
Site moments in Bohr magnetons follow the coordinates.
Positions (direct):
Pr  0.467  0.934  0.250  0.06
Pr  0.533  0.067  0.750  0.06
Pr  0.637  0.275  0.035  0.00
Pr  0.363  0.727  0.965  0.00
Pr  0.363  0.727  0.535  0.00
Pr  0.637  0.274  0.465  0.00
Pr  0.176  0.352  0.173  0.04
Pr  0.825  0.649  0.827  0.04
Pr  0.825  0.650  0.673  0.04
Pr  0.176  0.351  0.327  0.04
Pr  0.911  0.822  0.104  0.00
Pr  0.090  0.179  0.896  0.00
Pr  0.090  0.179  0.604  0.00
Pr  0.911  0.821  0.396  0.00
Te  0.798  0.597  0.250  0.00
Te  0.202  0.404  0.750  0.00
As  0.000  0.001  0.000  0.00
As  0.728  0.456  0.927  0.00
As  0.273  0.546  0.073  0.00
As  0.544  0.089  0.357  0.00